Request
Could you give back everything further below without additions?

Input
/*
Below is crystalline YAs at its relaxed geometry, with properties calculated at the GGA-PBE level.

a = 8.847 Å, b = 8.847 Å, c = 8.847 Å
α = 90.00°, β = 90.00°, γ = 90.00°
Fractional coordinates of all 16 atoms:
Y  0.346  0.346  0.346
Y  0.346  0.654  0.654
Y  0.654  0.346  0.654
Y  0.654  0.654  0.346
Y  0.846  0.846  0.846
Y  0.846  0.154  0.154
Y  0.154  0.846  0.154
Y  0.154  0.154  0.846
As  0.164  0.164  0.164
As  0.164  0.836  0.836
As  0.836  0.164  0.836
As  0.836  0.836  0.164
As  0.664  0.664  0.664
As  0.664  0.336  0.336
As  0.336  0.664  0.336
As  0.336  0.336  0.664

Values from the calculation:
Space-group type = I-43m, No. 217
ρ = 3.143 g/cm³
Fermi-level density of states = 0.000 states/eV per cell
Energy relative to the elements = -1.9 eV/f.u.

---

Below is crystalline TaHg2 at its relaxed geometry, with properties calculated at the GGA-PBE level.

a = 5.912 Å, b = 5.912 Å, c = 7.417 Å
α = 76.09°, β = 76.09°, γ = 29.99°
Fractional coordinates of all 6 atoms:
Ta  0.924  0.924  0.634
Ta  0.287  0.287  0.922
Hg  0.001  0.001  0.001
Hg  0.626  0.626  0.266
Hg  0.346  0.346  0.339
Hg  0.650  0.650  0.671

Values from the calculation:
Space-group type = Cm, No. 8
ρ = 15.407 g/cm³
Fermi-level density of states = 3.171 states/eV per cell
Energy relative to the elements = 1.1 eV/f.u.

---

Below is crystalline LiEuErCd at its relaxed geometry, with properties calculated at the GGA-PBE level.

a = 5.383 Å, b = 5.383 Å, c = 5.383 Å
α = 60.00°, β = 60.00°, γ = 60.00°
Last column: magnetic moment on the atom in μB.
Fractional coordinates of all 4 atoms:
Eu  0.000  0.000  0.000  6.86
Cd  0.250  0.250  0.250  0.01
Li  0.750  0.750  0.750  0.01
Er  0.500  0.500  0.500  0.09

Values from the calculation:
Space-group type = F-43m, No. 216
ρ = 6.604 g/cm³
Fermi-level density of states = 5.066 states/eV per cell
Energy relative to the elements = -0.4 eV/f.u.

----------

--- i ---
A geometry-optimized Tl3Cu2F7 structure. Source: Alexandria, functional PBE.

Cell and atoms, written as POSCAR:
```
Tl3Cu2F7
1.0
4.133 0.000 0.000
0.000 4.138 -0.615
0.000 -0.393 11.594
F Cu Tl
7 2 3
Cartesian
0.000 0.000 0.000
0.000 0.593 3.992
0.000 3.152 6.987
0.000 1.367 9.208
2.066 0.308 2.075
2.066 3.437 8.904
0.000 2.378 1.772
0.000 3.442 8.935
0.000 0.304 2.044
2.066 1.071 7.214
2.066 2.069 -0.307
2.066 2.674 3.765
```

Properties
Space group: Cmmm, No. 65

=====

--- ii ---
A geometry-optimized Tl3Cu2F7 structure. Source: Alexandria, functional PBE.

Cell and atoms, written as POSCAR:
```
Tl3Cu2F7
1.0
-3.103 0.706 -2.709
-2.552 -2.376 2.304
-0.227 9.765 6.029
Tl Cu F
3 2 7
Cartesian
-2.828 -0.835 -0.203
-1.927 5.632 3.675
-3.956 2.462 1.949
-5.316 6.439 4.544
-0.566 1.656 1.080
-1.850 0.491 2.248
-1.112 3.251 2.121
-4.032 7.603 3.377
-2.126 2.032 -0.259
0.000 0.000 0.000
-3.756 6.062 5.883
-4.770 4.844 3.503
```

Properties
Space group: I4/mmm, No. 139

=====

Which one is the least stable? From the structures above, i.

----------

--- a ---
Here is a geometry-optimized KRbAg2 structure from the Alexandria database. Energies are from PBE.

**Volume**: 545 Å³ per cell
**SG**: R3m (160)
**Magnetic moment**: 0.0 μB per cell

abc: 4.955 4.955 25.648
angles: 90.00 90.00 120.00
Atoms (fractional coordinates):
1 K 0.000 0.000 0.000
2 K 0.333 0.667 0.667
3 K 0.667 0.333 0.333
4 Rb 0.000 0.000 0.169
5 Rb 0.333 0.667 0.836
6 Rb 0.667 0.333 0.503
7 Ag 0.000 0.000 0.592
8 Ag 0.000 0.000 0.744
9 Ag 0.333 0.667 0.259
10 Ag 0.333 0.667 0.411
11 Ag 0.667 0.333 0.077
12 Ag 0.667 0.333 0.925

***

--- b ---
Here is a geometry-optimized KRbAg2 structure from the Alexandria database. Energies are from PBE.

**Volume**: 734 Å³ per cell
**SG**: I-42d (122)
**Magnetic moment**: 0.0 μB per cell

abc: 9.172 9.172 8.728
angles: 90.00 90.00 90.00
Atoms (fractional coordinates):
1 K 0.000 0.000 0.000
2 K 0.000 0.500 0.250
3 K 0.500 0.000 0.750
4 K 0.500 0.500 0.500
5 Rb 0.000 0.000 0.500
6 Rb 0.000 0.500 0.750
7 Rb 0.500 0.000 0.250
8 Rb 0.500 0.500 0.000
*/

Here it is
Below is crystalline YAs at its relaxed geometry, with properties calculated at the GGA-PBE level.

a = 8.847 Å, b = 8.847 Å, c = 8.847 Å
α = 90.00°, β = 90.00°, γ = 90.00°
Fractional coordinates of all 16 atoms:
Y  0.346  0.346  0.346
Y  0.346  0.654  0.654
Y  0.654  0.346  0.654
Y  0.654  0.654  0.346
Y  0.846  0.846  0.846
Y  0.846  0.154  0.154
Y  0.154  0.846  0.154
Y  0.154  0.154  0.846
As  0.164  0.164  0.164
As  0.164  0.836  0.836
As  0.836  0.164  0.836
As  0.836  0.836  0.164
As  0.664  0.664  0.664
As  0.664  0.336  0.336
As  0.336  0.664  0.336
As  0.336  0.336  0.664

Values from the calculation:
Space-group type = I-43m, No. 217
ρ = 3.143 g/cm³
Fermi-level density of states = 0.000 states/eV per cell
Energy relative to the elements = -1.9 eV/f.u.

---

Below is crystalline TaHg2 at its relaxed geometry, with properties calculated at the GGA-PBE level.

a = 5.912 Å, b = 5.912 Å, c = 7.417 Å
α = 76.09°, β = 76.09°, γ = 29.99°
Fractional coordinates of all 6 atoms:
Ta  0.924  0.924  0.634
Ta  0.287  0.287  0.922
Hg  0.001  0.001  0.001
Hg  0.626  0.626  0.266
Hg  0.346  0.346  0.339
Hg  0.650  0.650  0.671

Values from the calculation:
Space-group type = Cm, No. 8
ρ = 15.407 g/cm³
Fermi-level density of states = 3.171 states/eV per cell
Energy relative to the elements = 1.1 eV/f.u.

---

Below is crystalline LiEuErCd at its relaxed geometry, with properties calculated at the GGA-PBE level.

a = 5.383 Å, b = 5.383 Å, c = 5.383 Å
α = 60.00°, β = 60.00°, γ = 60.00°
Last column: magnetic moment on the atom in μB.
Fractional coordinates of all 4 atoms:
Eu  0.000  0.000  0.000  6.86
Cd  0.250  0.250  0.250  0.01
Li  0.750  0.750  0.750  0.01
Er  0.500  0.500  0.500  0.09

Values from the calculation:
Space-group type = F-43m, No. 216
ρ = 6.604 g/cm³
Fermi-level density of states = 5.066 states/eV per cell
Energy relative to the elements = -0.4 eV/f.u.

----------

--- i ---
A geometry-optimized Tl3Cu2F7 structure. Source: Alexandria, functional PBE.

Cell and atoms, written as POSCAR:
```
Tl3Cu2F7
1.0
4.133 0.000 0.000
0.000 4.138 -0.615
0.000 -0.393 11.594
F Cu Tl
7 2 3
Cartesian
0.000 0.000 0.000
0.000 0.593 3.992
0.000 3.152 6.987
0.000 1.367 9.208
2.066 0.308 2.075
2.066 3.437 8.904
0.000 2.378 1.772
0.000 3.442 8.935
0.000 0.304 2.044
2.066 1.071 7.214
2.066 2.069 -0.307
2.066 2.674 3.765
```

Properties
Space group: Cmmm, No. 65

=====

--- ii ---
A geometry-optimized Tl3Cu2F7 structure. Source: Alexandria, functional PBE.

Cell and atoms, written as POSCAR:
```
Tl3Cu2F7
1.0
-3.103 0.706 -2.709
-2.552 -2.376 2.304
-0.227 9.765 6.029
Tl Cu F
3 2 7
Cartesian
-2.828 -0.835 -0.203
-1.927 5.632 3.675
-3.956 2.462 1.949
-5.316 6.439 4.544
-0.566 1.656 1.080
-1.850 0.491 2.248
-1.112 3.251 2.121
-4.032 7.603 3.377
-2.126 2.032 -0.259
0.000 0.000 0.000
-3.756 6.062 5.883
-4.770 4.844 3.503
```

Properties
Space group: I4/mmm, No. 139

=====

Which one is the least stable? From the structures above, i.

----------

--- a ---
Here is a geometry-optimized KRbAg2 structure from the Alexandria database. Energies are from PBE.

**Volume**: 545 Å³ per cell
**SG**: R3m (160)
**Magnetic moment**: 0.0 μB per cell

abc: 4.955 4.955 25.648
angles: 90.00 90.00 120.00
Atoms (fractional coordinates):
1 K 0.000 0.000 0.000
2 K 0.333 0.667 0.667
3 K 0.667 0.333 0.333
4 Rb 0.000 0.000 0.169
5 Rb 0.333 0.667 0.836
6 Rb 0.667 0.333 0.503
7 Ag 0.000 0.000 0.592
8 Ag 0.000 0.000 0.744
9 Ag 0.333 0.667 0.259
10 Ag 0.333 0.667 0.411
11 Ag 0.667 0.333 0.077
12 Ag 0.667 0.333 0.925

***

--- b ---
Here is a geometry-optimized KRbAg2 structure from the Alexandria database. Energies are from PBE.

**Volume**: 734 Å³ per cell
**SG**: I-42d (122)
**Magnetic moment**: 0.0 μB per cell

abc: 9.172 9.172 8.728
angles: 90.00 90.00 90.00
Atoms (fractional coordinates):
1 K 0.000 0.000 0.000
2 K 0.000 0.500 0.250
3 K 0.500 0.000 0.750
4 K 0.500 0.500 0.500
5 Rb 0.000 0.000 0.500
6 Rb 0.000 0.500 0.750
7 Rb 0.500 0.000 0.250
8 Rb 0.500 0.500 0.000